[File]
=====
Version 1
The following is a DFT calculation (ωB97M-V/def2-TZVPD) of one molecule with the formula CH2NP.

HOMO level = -10.377 eV
SMILES = N#CP
Frontier orbital gap = 10.98 eV
Total charge = 0

Element x y z (Å)
P -0.38 -0.09 -0.77
N -2.26 -2.31 0.05
C -1.59 -1.24 -0.22
H 0.48 -0.55 0.08
H -0.76 1.04 -0.03

Version 2
The following is a DFT calculation (ωB97M-V/def2-TZVPD) of CH2NP as an isolated structure.

HOMO level = -11.547 eV
Frontier orbital gap = 10.34 eV
Total charge = 0

Element x y z (Å)
P -0.12 0.92 -0.01
N -3.36 -0.10 -0.09
C -2.30 0.18 0.17
H -0.07 -0.17 0.86
H 0.14 0.14 -1.18

Computed relative energies in units of hartree: version 1 0.0000; version 2 0.0161

Version 1
The following is a DFT calculation (ωB97M-V/def2-TZVPD) of Cl5NP2 as an isolated structure.

HOMO level (spin up / spin down) = -9.449 / -9.450 eV
Frontier orbital gap (spin up / spin down) = 7.10 / 7.11 eV
Total charge = 0

Element x y z (Å)
Cl 1.49 1.69 -1.79
Cl 0.26 -2.32 -1.06
Cl -2.22 -1.75 0.67
Cl 1.08 1.95 1.16
Cl 0.84 -1.65 1.82
P -0.02 2.10 -0.49
P -0.41 -1.00 0.26
N -1.03 0.97 -0.57

Version 2
The following is a DFT calculation (ωB97M-V/def2-TZVPD) of Cl5NP2 as an isolated structure.

HOMO level = -9.553 eV
Frontier orbital gap = 8.42 eV
Total charge = 0

Element x y z (Å)
Cl -2.56 2.11 -1.29
Cl 2.58 -0.41 1.85
Cl -2.61 -0.21 0.69
Cl 2.33 0.30 -1.18
Cl -0.17 1.73 0.54
P 1.31 -0.57 0.31
P -1.38 0.57 -0.67
N -0.03 -1.22 0.48

Computed relative energies in units of hartree: version 1 0.0000; version 2 0.0031

Version 1
The following is a DFT calculation (ωB97M-V/def2-TZVPD) of a 2-piece molecular cluster, CHN2O4 overall.

HOMO level (spin up / spin down) = -4.341 / -4.335 eV
Frontier orbital gap (spin up / spin down) = 6.66 / 6.65 eV
Total charge = -1

Element x y z (Å)
O 0.90 2.11 -2.44
O -1.84 -0.75 -0.41
O -0.51 -2.51 -0.57
O 2.37 1.22 -1.12
N 0.41 -0.84 -1.28
N 1.27 1.32 -1.61
C -0.78 -1.29 -0.71
H 1.17 -0.84 -0.54

Version 2
The following is a DFT calculation (ωB97M-V/def2-TZVPD) of CHN2O4 as an isolated structure.

HOMO level = -4.795 eV
Frontier orbital gap = 8.95 eV
Total charge = -1

Element x y z (Å)
O -2.36 -0.23 -0.11
O 1.61 -0.01 1.23
O -0.69 -1.31 0.75
O 2.00 0.05 -1.02
N -1.13 -0.32 0.19
N -0.30 0.61 -0.18
C 1.58 0.13 0.08
H -0.71 1.09 -0.95

Computed relative energies in units of hartree: version 1 0.0858; version 2 0.0000

Version 1
The following is a DFT calculation (ωB97M-V/def2-TZVPD) of a 2-piece molecular cluster, C7H14OS overall.

HOMO level (spin up / spin down) = -7.118 / -7.119 eV
Frontier orbital gap (spin up / spin down) = 7.81 / 7.81 eV
Total charge = 0

Element x y z (Å)
S 1.00 -0.19 0.17
O -3.23 0.59 0.14
C -2.14 -0.98 -1.33
C -0.24 2.01 -0.99
C -1.80 -1.01 1.34
C 2.71 0.57 0.08
C 3.76 -0.42 0.60
C -2.21 -0.33 0.05
C -0.15 0.97 -0.27
H 3.82 -0.59 1.63
H -2.00 -2.02 1.30
H -1.96 -0.19 -2.08
H 3.37 -1.34 0.20
H 0.59 2.45 -1.59
H -0.73 -0.97 1.33
H -3.40 0.84 1.13
H 4.73 -0.29 0.28
H 2.87 0.71 -1.09
H -1.13 2.49 -1.22
H -3.09 -1.46 -1.41
H 2.79 1.44 0.82
H -2.27 -0.48 2.14
H -1.30 -1.79 -1.24

Version 2
The following is a DFT calculation (ωB97M-V/def2-TZVPD) of one molecule with the formula C7H14OS.

HOMO level = -7.232 eV
SMILES = CC(C)=S1(=O)CCCC1
Frontier orbital gap = 8.01 eV
Total charge = 0

Element x y z (Å)
S -0.25 -0.78 0.06
O -0.39 -2.39 0.24
C 0.84 -0.31 1.48
C -1.60 1.45 -0.06
C -3.02 -0.85 -0.02
C 2.44 -0.69 -0.39
C -1.77 -0.01 0.33
C 2.17 0.15 0.81
C 1.22 -0.78 -1.14
H -1.36 1.45 -1.07
H -3.56 -0.65 -0.93
H 3.05 0.05 1.56
H 2.92 -1.70 -0.16
H -2.56 2.03 0.09
H -3.69 -0.58 0.82
H 0.82 -1.83 -1.52
H 1.96 1.20 0.49
H 1.03 -0.14 -2.02
H -0.63 1.85 0.48
H 3.21 -0.15 -0.93
H -2.86 -1.96 -0.07
H 0.29 0.36 2.07
H 1.03 -1.22 2.10

Computed relative energies in units of hartree: version 1 0.0000; version 2 0.0107

Version 1
The following is a DFT calculation (ωB97M-V/def2-TZVPD) of a 2-piece molecular cluster, C2H5Br overall.

HOMO level (spin up / spin down) = -8.703 / -8.423 eV
=====

[Job]
Please find the line further up that holds "2.58 -0.41", then repeat that line and all lines after it there.

[Result]
Cl 2.58 -0.41 1.85
Cl -2.61 -0.21 0.69
Cl 2.33 0.30 -1.18
Cl -0.17 1.73 0.54
P 1.31 -0.57 0.31
P -1.38 0.57 -0.67
N -0.03 -1.22 0.48

Computed relative energies in units of hartree: version 1 0.0000; version 2 0.0031

Version 1
The following is a DFT calculation (ωB97M-V/def2-TZVPD) of a 2-piece molecular cluster, CHN2O4 overall.

HOMO level (spin up / spin down) = -4.341 / -4.335 eV
Frontier orbital gap (spin up / spin down) = 6.66 / 6.65 eV
Total charge = -1

Element x y z (Å)
O 0.90 2.11 -2.44
O -1.84 -0.75 -0.41
O -0.51 -2.51 -0.57
O 2.37 1.22 -1.12
N 0.41 -0.84 -1.28
N 1.27 1.32 -1.61
C -0.78 -1.29 -0.71
H 1.17 -0.84 -0.54

Version 2
The following is a DFT calculation (ωB97M-V/def2-TZVPD) of CHN2O4 as an isolated structure.

HOMO level = -4.795 eV
Frontier orbital gap = 8.95 eV
Total charge = -1

Element x y z (Å)
O -2.36 -0.23 -0.11
O 1.61 -0.01 1.23
O -0.69 -1.31 0.75
O 2.00 0.05 -1.02
N -1.13 -0.32 0.19
N -0.30 0.61 -0.18
C 1.58 0.13 0.08
H -0.71 1.09 -0.95

Computed relative energies in units of hartree: version 1 0.0858; version 2 0.0000

Version 1
The following is a DFT calculation (ωB97M-V/def2-TZVPD) of a 2-piece molecular cluster, C7H14OS overall.

HOMO level (spin up / spin down) = -7.118 / -7.119 eV
Frontier orbital gap (spin up / spin down) = 7.81 / 7.81 eV
Total charge = 0

Element x y z (Å)
S 1.00 -0.19 0.17
O -3.23 0.59 0.14
C -2.14 -0.98 -1.33
C -0.24 2.01 -0.99
C -1.80 -1.01 1.34
C 2.71 0.57 0.08
C 3.76 -0.42 0.60
C -2.21 -0.33 0.05
C -0.15 0.97 -0.27
H 3.82 -0.59 1.63
H -2.00 -2.02 1.30
H -1.96 -0.19 -2.08
H 3.37 -1.34 0.20
H 0.59 2.45 -1.59
H -0.73 -0.97 1.33
H -3.40 0.84 1.13
H 4.73 -0.29 0.28
H 2.87 0.71 -1.09
H -1.13 2.49 -1.22
H -3.09 -1.46 -1.41
H 2.79 1.44 0.82
H -2.27 -0.48 2.14
H -1.30 -1.79 -1.24

Version 2
The following is a DFT calculation (ωB97M-V/def2-TZVPD) of one molecule with the formula C7H14OS.

HOMO level = -7.232 eV
SMILES = CC(C)=S1(=O)CCCC1
Frontier orbital gap = 8.01 eV
Total charge = 0

Element x y z (Å)
S -0.25 -0.78 0.06
O -0.39 -2.39 0.24
C 0.84 -0.31 1.48
C -1.60 1.45 -0.06
C -3.02 -0.85 -0.02
C 2.44 -0.69 -0.39
C -1.77 -0.01 0.33
C 2.17 0.15 0.81
C 1.22 -0.78 -1.14
H -1.36 1.45 -1.07
H -3.56 -0.65 -0.93
H 3.05 0.05 1.56
H 2.92 -1.70 -0.16
H -2.56 2.03 0.09
H -3.69 -0.58 0.82
H 0.82 -1.83 -1.52
H 1.96 1.20 0.49
H 1.03 -0.14 -2.02
H -0.63 1.85 0.48
H 3.21 -0.15 -0.93
H -2.86 -1.96 -0.07
H 0.29 0.36 2.07
H 1.03 -1.22 2.10

Computed relative energies in units of hartree: version 1 0.0000; version 2 0.0107

Version 1
The following is a DFT calculation (ωB97M-V/def2-TZVPD) of a 2-piece molecular cluster, C2H5Br overall.

HOMO level (spin up / spin down) = -8.703 / -8.423 eV